
Trying to use pane-relief on my phone

Closed this issue · 21 comments

Hi, I tried to install this plugin on my android phone (so as to get sliding panes again), but all I got from the market is "this plug in does not support your device". I tried to install it from Github, but then I can't enable it (though the manifest states "isDesktopOnly": false).
I tried to use the mobile logging plugin that was used last year on an Iphone to give you more details but I did not manage to use it. I don't know if it is still working and it is not just me or not.

I was so happy to get my panes sliding again :,(
Is there something that can be done to make it work?
Thanks for your attention...

I tried with the 0.4.1 too, since it seemed to work in the #40 issue, but it still doen't work. I use obsidian 1.4.6 (105), which is the latest one.

pjeby commented

If the issue is that enabling the plugin says "failed to load", then there is likely an error in the console and I'd need to see that. If there is some other message, I need to know what it says.

Thank you for your answer.
No, I just can't push the toggle. There is no message at all when I try to enable it.
The only message I get is from the marketplace, where it reads "this plugin does not support your device", and it repeats it on top when I try to install it.
Sorry, but do you know how I can access the console to get the information?
(I will try the Mobile Logging plugin again tomorrow)

pjeby commented

If the toggle is disabled then perhaps Obsidian is disallowing it. I don't know what you mean by "marketplace", though - I do not use Obsidian on any mobile device and have no idea how to do anything with it.

My suggestion would be to ask around on Discord (e.g. in a mobile-related channel) to see if anyone else has or has solved this problem or can help, as I cannot without additional information even know what is causing the problem.

Based on the available data, I would guess something has changed about Obsidian Mobile since the plugin itself has hardly changed at all. But what that something is or what needs to be done about it, I have no idea.

Hi again, by "marketplace" I meant the community plugins store.

The obsidian console plugins seem out of reach for me (obsidian-mobile-console) or deprecated (obsidian-dev-tools).

I ended using this.app.emulateMobile(!this.app.isMobile); in the console in the windows desktop version with your plugin installed so as to emulate a mobile device.
This is the error message I got when I tried to enable the plugin (and was successful doing so):
Then I toggled the sliding panes. It visually worked but threw errors too, for a window larger than 600 pixels:
(and the sliding panes did not work at all if lower; I suppose this is the intended behavior).

Uninstalling and installing the plugin again without error, so maybe the emulation only concerns the .css layers.

I don't know if it helps or if I still have to go to the discord channel.

(Maybe the emulator is lacking information on the device and these error are normal)

pjeby commented

So I've added a fix for the specific error above. Don't know if it'll do anything else, but you can see if it helps.

Hi, thank you. I installed the new version, it fixes what showed in the desktop console during mobile app emulation.
But it doesn't solve the can't install/can't enable issue on mobile.
Somebody on Discord said it was the same for IOS. It will wait to see if I get a hint. Fingers crossed...

I uninstalled the Obsidian app and installed the 1.4.2 (from Febrary 2023) and then even the 1.3.0 (from August 2022), hoping that I could enable the plugin and then update Obsidian... but it didn't work.

I went back to the current version, checked the manifest.json and found out that "isDesktopOnly": true so obviously it couldn't work. I had already checked this but it appears I got confused then.
With the plugin manually installed and the line corrected I could enable it easily.
Maybe it is the intended behavior and I should have known that.

Anyway, now it seems that the simple sliding panes feature doesn't work on a phone: I have 5 tab groups, some of them with several tabs, and with sliding panes enabled nothing seems to change, even with the default theme. 😢
Anyway, thank you for your attention.

pjeby commented

I'm not aware of anyone using sliding panes on a phone; to my knowledge the people interested in Pane Relief on mobile have mainly been tablet users. But in any case I have never used it there, so couldn't tell you if or how it works.

My guess though would be that the main issue is being able to scroll the groups - scrollbars on phones are tiny and it might not be obvious where the scroll thumb is. For sliding panes, it should be at the bottom of the workspace area though.

The other day I saw the scrollbar disappear as soon as the window was less than 600 pix large when testing through mobile emulation on desktop. Obsidian itself might treat tabs differently then. As my screen is 1040 pixel large I was hoping it would work somehow (I'm just a naive user without any technical knowledge).

Apart from that I thickened the scrollbars via a .css snippet to be able to grab them despite the protecting case, so I'm quite sure there is no scroll thumb at all.

On the original sliding panes plugin I usually just swiped from one pane to another, that could have worked too. I'm very surprised to be the only one trying these things, that was so convenient for me!!!

pjeby commented

Well, if it works in the mobile emulation with the same screen size, but not on the phone, I'm not sure what to tell you. Did you try resizing to the same dimensions as your phone screen? Also, if you have css snippets active, are they the same snippets on phone and desktop?

pjeby commented

Btw, pixel sizes on phones and desktop may be different -- your 1040 may be treated as a smaller number for CSS purposes, if those are "retina" pixels (i.e. extra small). So if the 600px limit is relevant, your 1040 may actually be undersized for that.

Some further investigation of the 35 bits of code and 122 styles that are different when Obsidian believes it's on a "phone", reveals that there is styling that hides all the non-"visible" tab groups. It looks like you can override it with a CSS snippet like this:

.is-phone .mod-root.is-sliding .workspace-split:not(.mod-visible),
.is-phone .mod-root.is-sliding .workspace-tabs:not(.mod-visible) {
    display: flex;

This should force all tab groups to be displayed if the workspace is in sliding mode.

Wow, it works, I AM SO HAPPY!!!!!!!!!!!!
Thank you sooooo much! ❤️❤️❤️🏆🎆
Seriously, THANK YOU!!!!!

pjeby commented

Ok, I will probably add this to Pane Relief's Style Settings options so that people can force sliding panes to be active on phones and other sufficiently-small screens. I don't think it should be active by default, but having an option seems good.

That seems great.
If I may, it would be coherent if the plugin was not set as desktop only anymore (since this setting would seem be a little weird for a desktop-only plugin).
I can try to test the other functionalities if it helps.
Thank you again!!
And sorry for my bad english.

One more thing (sorry): with the snippet the scroll thumb is still not there, and it gets tricky to swipe through tab groups and stacked tabs, depending on how everything is positioned, --but it works--.
If it's OK for you, could you please see if I/we could get the scroll thumb again? That would be totally amazing.
(That's because on a phone it is easier to open new tabs than to open new tab groups).

Attached: records of crystals.
Here is an optimized crystal structure of ZnInPdPt from Alexandria. Energies are from PBE-GGA.

Its volume is 16.320 Å³ per atom. For the spin magnetization, the calculation gives 0.000 μB per atom. As for the formation energy from the elements: -0.480 eV per atom. The density of states at the Fermi level comes out at 0.455 states/eV per atom.

It has space group Pmmm (No. 47), with a = 3.604 Å, b = 4.232 Å, c = 4.280 Å, α = 90.00°, β = 90.00° and γ = 90.00°. Symmetry generates all atoms from Zn at (0.000, 0.000, 0.000), In at (0.000, 0.500, 0.500), Pd at (0.500, 0.000, 0.500) and Pt at (0.500, 0.500, 0.000).

=====

Record 1
{
  "formula": "TiCr2ReI",
  "functional": "PBE",
  "state": "relaxed",
  "lattice": [[4.5105, 0.0000, 0.0000], [0.0000, 4.7986, 0.0000], [0.0000, 0.0000, 4.5105]],
  "species": ["Cr", "Cr", "I", "Ti", "Re"],
  "fractional_positions": [[0.5000, 0.0000, 0.0000], [0.0000, 0.0000, 0.5000], [0.0000, 0.0000, 0.0000], [0.0000, 0.5000, 0.0000], [0.5000, 0.5000, 0.5000]],
  "space_group": "P4/mmm",
  "raw_formation_energy_ev_per_atom": 2.197
}

Record 2
{
  "formula": "Sm2Ho4Sc5",
  "functional": "PBE",
  "state": "relaxed",
  "lattice": [[3.4456, 0.0000, 0.0000], [0.0000, 8.3599, -2.0687], [0.0000, -1.0759, 11.3757]],
  "species": ["Sc", "Sc", "Sc", "Sc", "Sc", "Sm", "Sm", "Ho", "Ho", "Ho", "Ho"],
  "fractional_positions": [[0.0000, 0.9111, 0.1009], [0.0000, 0.5045, 0.3723], [0.0000, 0.5000, 0.0000], [0.0000, 0.4955, 0.6277], [0.0000, 0.0889, 0.8991], [0.0000, 0.8678, 0.5940], [0.0000, 0.1322, 0.4060], [0.5000, 0.2591, 0.1515], [0.5000, 0.7409, 0.8485], [0.5000, 0.2488, 0.7257], [0.5000, 0.7512, 0.2743]],
  "formation_energy_mev_per_atom": 136,
  "space_group": "P2/m"
}

Record 3
{
  "formula": "CoCuRhAu",
  "functional": "PBE",
  "state": "relaxed",
  "lattice": [[4.2956, 0.0000, 0.0000], [2.1478, 3.7201, 0.0000], [2.1478, 1.2400, 3.5073]],
  "species": ["Cu", "Co", "Rh", "Au"],
  "fractional_positions": [[0.2500, 0.2500, 0.2500], [0.7500, 0.7500, 0.7500], [0.0000, 0.0000, 0.0000], [0.5000, 0.5000, 0.5000]],
  "formation_energy_mev_per_atom": 165,
  "space_group": "F-43m"
}

Record 4
{
  "formula": "HfGa2F2",
  "functional": "PBE",
  "state": "relaxed",
  "lattice": [[-0.6400, 4.7045, 5.0633], [-6.1296, 1.9631, -2.5988], [-1.5016, -2.2151, 1.8683]],
  "species": ["F", "F", "F", "F", "Hf", "Hf", "Ga", "Ga", "Ga", "Ga"],
  "fractional_positions": [[0.6394, 0.1394, 0.0000], [0.8606, 0.6394, 0.0000], [0.3606, 0.8606, 0.0000], [0.1394, 0.3606, 0.0000], [0.5000, 0.5000, 0.0000], [0.0000, 0.0000, 0.0000], [0.2059, 0.7059, 0.5000], [0.7941, 0.2941, 0.5000], [0.7059, 0.7941, 0.5000], [0.2941, 0.2059, 0.5000]],
  "space_group": "P4/mbm",
  "raw_formation_energy_ev_per_atom": -1.100
}

pjeby commented

In mobile emulation, I saw a scrollbar, so I'm not sure why you're not seeing one.

After further testing, with new vaults with only the plugin and the snippet and 3 to 4 tab groups (without stacking tabs):

  • On the phone, at the beginning the bottom toolbar that allows to switch to another tab (let's call it the navigation toolbar) is there, but there is no scrollbar (pic. 1)
    the scrollbar appears when i I switch to editing mode for a note and click on it.
    The soft keyboard and mobile toolbar appear, with a (reasonably thick) scrollbar on top, and the navigation toolbar disappears. (pic 2)
    If I retract the soft keyboard the scrollbar is still there (but very thin) as long the note is selected (pic 3).
    If I tap on the note again, the keyboard reappears but the scrollbar stays very thin (??).
    If I switch back to reading mode it disappears, and the navigation toolbar reappears (pic 1 again).


  • On the emulator: I set a "phone" width, then reload.
    I get the same display as on the phone, without scrollbar, and with the selection bottom toolbar.
    I select editing mode for a note and click somewhere in it; the scrollbar appears and stays there, with the mobile toolbar (at first, a least) and without the navigation toolbar, even if I switch to reading mode on all the tabs. It's not the same behavior as on the phone.
    If I reload: the scrollbar goes away and the navigation toolbar comes back.

Source mode or live preview seem to give the same results. The same kind of things happen with stacked tabs.

With this scrollbar problem + the fact that, as far as I know, only bookmarks can be opened "to the right" (without an external keyboard) -and we don't know for how long-, make the functionality a bit hard to use for the general public.

pjeby commented

Ok, so it sounds like sliding panes is DOA on devices Obsidian considers phones, but usable on tablets.

Not really (for the phones part).

For reference:

I don't think that anything could replace it if one wants to quickly swipe back and forth through several reference notes.
On the phone it is still very usable without stacking tabs (swiping through the tab groups);
with stacked tabs (or notes with large tables) one can survive by grabbing the tab bar when stuck, while minding not to hit the "close tab" button.

Plus it appears that one can use the Commander plugin to create "split right", "create note to the right" (and even "toggle stacked tabs", why not) to the ribbon, allowing to create easily a mostly "flat" layout with lots of tab groups and few tabs per group.
I tried to put a "split right" button on the tab bar, it makes things even more fluid. I'm not sure I will keep it though.
One could probably save the result as a workspace; one workspace for each group of notes that one wishes to display side by side? (I'll have to try that)

Side notes:

  • The "maximize active tab" toggle brings back to the standard display if needed (while the "sliding panes" toggle allows to display only the current tab group, but keeps showing stacks of tabs).

  • When using Obsidian on an external (touch) screen through Samsung Dex one can use the plugin with all its tablet functionalities.

  • One might have to tap twice in order for the left panel to appear; this was already the case with the old Sliding Panes plugin.

TL; DR: I'm still very happy.
And thank you again.